The Whining and Bitching Thread

I know exactly what you mean. I easily adjusted to being single again because I don't miss my ex, but even after two years I've still never re-adapted to not having sex.

It's crazy how much having a girlfriend re-defined the way I live my life though. Before I had one, I used to always concentrate on getting a girlfriend and I was convinced that sex wasn't important, but now having sex again is all that I can really think about, but finding a new girlfriend isn't a priority.

At this point I don't care which, whether I get my cake and/or eat it too.
I know exactly what you mean. I easily adjusted to being single again because I don't miss my ex, but even after two years I've still never re-adapted to not having sex.

It's crazy how much having a girlfriend re-defined the way I live my life though. Before I had one, I used to always concentrate on getting a girlfriend and I was convinced that sex wasn't important, but now having sex again is all that I can really think about, but finding a new girlfriend isn't a priority.

First off, you're a spoiled piece of shit.

Second, I'm curious to know why you find sex so much more important now. Do you think it's because you developed a psychological dependency on it, or is it more of a realisation that your quality of life is much higher with sex?
Read Sigmund Freud. The highest pleasurable state any person experience becomes the standard to which they strive. For those who never had so high an experience, they feel less an urge to experience it.

That is why when one enters a first relationship, he is thankful just for the affection of a significant other, but when it leads to sex, that becomes a higher goal by virtue of its stronger sensation than mere affection.
Well pleasure is certainly not something I equate with quality of life, so that doesn't exactly answer my question for him. A sense of meaning/fulfillment is just as important in life as pleasure, if not more so.
It's our biology telling us that our true purpose is to procreate, thus the physical sensations of pleasure increase the closer you come to living out that purpose. That's the same reason being in love with a person feels better than being in love with knowledge. You and I can try, as I often do, to rationalize that wisdom is the best goal, but the physical deprivations of love still regularly attack our psyche.

As for wisdom itself, it indirectly supports my biological purpose by giving me the knowledge to survive in the world and understand it.
Yeah. I don't necessarily try to convince myself that life is better without physical intimacy, but it's not that hard to ignore the urge as long as I'm not exposed to things which stimulate it (other than porn, which is depersonalised enough not to matter).
Maine is the only American state that is only one syllable

anyhow, ive decided im going to cut my hair, its at nipple length and my girlfriend says that it should be what i feel is right bla bla bla. My friends give the 'you look like a girl LOL' thing while my 'metal' friends say that cutting it retared. While i love headbanging and windmilling it does get fucking irritating to wash and look after all the time.
Of all people to be friendly to, ...Xorv? Does not compute.

Pretty much.

So I realized today that I absolutely suck at talking to people. It's not that I'm shy or that I say the wrong thing, it's just that I have trouble gauging the interest of people I'm talking to. So if someone asks me a question (about anything) I'll answer it and then give a one-sentence explanation; as it turns out, most people don't have the patience for that one sentence and aren't listening beyond the point where I answer the question, so I feel awkward. But then sometimes they are and are expecting an explanation, and so I feel like I'm being an asshole. This happens with people I don't know very well; with anyone I know well enough to say hi to or talk in class with, I have no trouble.
i hate intelligent women, independent women, women with standards, expectations etc. they should all just bend over at my will
I kind of suck at the Wednesday crossword. Monday is a joke, and I usually complete Tuesday more or less. Then I get to Wednesday and only get about a quarter of the way. Too many references to foreign languages and shit. Aggravating.
I hate that my girlfriend is leagues above me. When she introduces me to people and you can see the shock in their faces when they see me with her.

Though on the other hand i consider myself incredibly lucky.
Of all people to be friendly to, ...Xorv? Does not compute.

He's one of the few people on this site who has never annoyed me in any way, although I rarely see his posts. A lot of people dislike him, but he's not like the pile of worthless posers who obsess over disgusting slutty women, have horrible music taste and try to be right about dumb things while not actually being able to form a cohesive argument.

Realistically, I'd probably be up for giving out advice on a variety of topics to pretty much anyone who isn't an idiot if they asked for it and I feel like I have some answers.

Inserted here: records of crystals >
********
[1]
This entry pairs a crystal structure of Y6Tl3Hg with its theoretical XRD peak list. Radiation: λ = 1.5418 Å (Cu Kα). Structure: a crystal structure in Alexandria, relaxed with GGA-PBE.

Main lines, most intense first (10 to 90 degrees two-theta):
d/Å	Rel. int.
2.631	100.0
3.037	70.5
3.653	29.4
1.994	27.5
1.519	26.0
2.538	25.3
1.989	21.0
1.315	20.8
3.055	14.9
1.860	14.2

Structural model:
Lattice parameters (Å, degrees): 9.1081 12.2214 5.2651 90.00 90.00 90.00
Sites, in units of the cell vectors:
Y (0.0003, 0.2470, 0.0000)
Y (0.9997, 0.7530, 0.0000)
Y (0.1637, 0.0902, 0.5000)
Y (0.1695, 0.4073, 0.5000)
Y (0.3305, 0.9073, 0.0000)
Y (0.3363, 0.5902, 0.0000)
Y (0.5003, 0.2530, 0.5000)
Y (0.4997, 0.7470, 0.5000)
Y (0.6637, 0.4098, 0.0000)
Y (0.6695, 0.0927, 0.0000)
Y (0.8305, 0.5927, 0.5000)
Y (0.8363, 0.9098, 0.5000)
Tl (0.0000, 0.5000, 0.0000)
Tl (0.1661, 0.7483, 0.5000)
Tl (0.3339, 0.2483, 0.0000)
Tl (0.5000, 0.0000, 0.5000)
Tl (0.6661, 0.7517, 0.0000)
Tl (0.8339, 0.2517, 0.5000)
Hg (0.0000, 0.0000, 0.0000)
Hg (0.5000, 0.5000, 0.5000)

=====

[2]
This entry pairs a crystal structure of YTlHg with its theoretical XRD peak list. Radiation: λ = 1.5418 Å (Cu Kα). Structure: a crystal structure in Alexandria, relaxed with GGA-PBE.

Main lines, most intense first (10 to 90 degrees two-theta):
d/Å	Rel. int.
2.784	100.0
2.760	46.0
2.592	45.4
2.579	40.7
2.380	34.2
2.002	18.8
1.796	14.0
1.809	13.4
5.451	10.8
1.716	10.3

Structural model:
Lattice parameters (Å, degrees): 4.7607 6.4828 6.4932 119.05 111.41 90.40
Sites, in units of the cell vectors:
Y (0.1772, 0.2337, 0.3584)
Y (0.8228, 0.7663, 0.6416)
Tl (0.4950, 0.2427, 0.9952)
Tl (0.5050, 0.7573, 0.0048)
Hg (0.1516, 0.7103, 0.2995)
Hg (0.8484, 0.2897, 0.7005)

=====

[3]
This entry pairs a crystal structure of YTlHg with its theoretical XRD peak list. Radiation: λ = 1.5418 Å (Cu Kα). Structure: a crystal structure in Alexandria, relaxed with GGA-PBE.

Main lines, most intense first (10 to 90 degrees two-theta):
d/Å	Rel. int.
2.590	100.0
2.563	97.1
2.638	52.6
3.688	48.5
3.640	47.0
2.525	46.6
3.610	46.1
1.476	35.9
2.136	23.3
2.075	21.4

Structural model:
Lattice parameters (Å, degrees): 5.0518 3.6395 5.2774 90.00 91.22 90.00
Sites, in units of the cell vectors:
Y (0.0000, 0.0000, 0.0000)
Tl (0.0000, 0.5000, 0.5000)
Hg (0.5000, 0.5000, 0.0000)

=====

[4]
This entry pairs a crystal structure of Y2TlHg with its theoretical XRD peak list. Radiation: λ = 1.5418 Å (Cu Kα). Structure: a crystal structure in Alexandria, relaxed with GGA-PBE.

Main lines, most intense first (10 to 90 degrees two-theta):
d/Å	Rel. int.
2.960	100.0
2.393	55.5
1.884	27.4
1.469	24.0
2.347	17.3
3.178	16.5
1.589	15.8
1.549	14.2
4.694	13.7
1.215	13.1

Structural model:
Lattice parameters (Å, degrees): 9.6365 9.6365 9.6365 22.54 22.54 22.54
Sites, in units of the cell vectors:
Y (0.2470, 0.2470, 0.2470)
Y (0.7530, 0.7530, 0.7530)
Tl (0.0000, 0.0000, 0.0000)
Hg (0.5000, 0.5000, 0.5000)

=====

[5]
********

thank you omni

the rest of you can lick my hole

It isn't a problem. Let me know if you need any more advice, and I'd like to hear how things are working out for you in the future.